For BVSD students, teachers, guidance counselors, and schools as well as environmental educators in Boulder County, CO
********
(1)
Ba2Sn2F11 after structural relaxation. Source: the Materials Project database, functional PBE-GGA.

Cell: 7.8043 7.8043 15.0017 Å, 90.00 90.00 120.00°
Space group P3_2 (No. 145)
One atom of each set of equivalent atoms:
Ba 0.1446 0.4136 0.0000 [3 per cell]
Ba 0.5164 0.1471 0.8481 [3 per cell]
Sn 0.0305 0.5719 0.7553 [3 per cell]
Sn 0.2023 0.0406 0.5847 [3 per cell]
F 0.0347 0.7466 0.6043 [3 per cell]
F 0.1030 0.0434 0.9298 [3 per cell]
F 0.1549 0.4836 0.6573 [3 per cell]
F 0.1601 0.0440 0.4525 [3 per cell]
F 0.2547 0.5770 0.4688 [3 per cell]
F 0.2680 0.0899 0.7138 [3 per cell]
F 0.3524 0.0217 0.1641 [3 per cell]
F 0.3944 0.3363 0.5715 [3 per cell]
F 0.4141 0.3571 0.0456 [3 per cell]
F 0.4277 0.0010 0.5450 [3 per cell]
F 0.5515 0.2853 0.3731 [3 per cell]

---

(2)
BaSnF4 after structural relaxation. Source: the Materials Project database, functional PBE-GGA.

Cell: 4.423 4.423 11.215 Å, 90.00 90.00 90.00°
Space group P4/nmm (No. 129, origin choice 2)
One atom of each set of equivalent atoms:
Ba 0.250 0.250 0.132 [2 per cell]
Sn 0.250 0.250 0.629 [2 per cell]
********
Win significant cash prizes and recognition in Boulder County!
Can young people envision taking an active role in creating a “green economy no matter what their career interests?” Here’s a contest to help advance this idea! Students, educators, and entire schools are invited to submit lessons, activities, and/or materials they develop to connect environmental knowledge and concern with a wide range of careers and jobs. The purpose of this contest is to encourage careful thought about these questions and then to inspire projects – quite simple to more involved – to advance an “ALL Careers approach” to education. There will be lots of recognition and thanks for all entries, and some significant prize money!
How to proceed: 1) Peruse the materials under the white tabs, above (the examples/ideas page, in particular, may spark ideas for possible entries); 2) fill in this short “intent form" to get started; 3) carry out a project and submit it as directed in the “Description and Details.”
“Intent form" due by Feb. 1, 2023
Entries are due by March 23, 2023
Entries and/or questions should be submitted to Martin Ogle at
Complete contest description and details, just below

_Calculated crystals, kept here for reference_
____________
[1]
# Cr3N2O10

An optimized crystal structure of Cr3N2O10 (PBE with a Hubbard U, Materials Project).

Calculated values
symmetry: P6_3/m
energy of formation: -326.3 meV per atom
E: -87.1 eV per formula unit
size of the total moment: 11.35 μB per cell

Cell and atoms, written as CIF:
```
data_Cr3N2O10
_space_group_name_H-M_alt 'P 1'
_space_group_IT_number 1
_space_group_name_Hall 'P 1'
_cell_length_a 12.619
_cell_length_b 12.619
_cell_length_c 13.403
_cell_angle_alpha 90.00
_cell_angle_beta 90.00
_cell_angle_gamma 120.00
loop_
_atom_site_label
_atom_site_type_symbol
_atom_site_fract_x
_atom_site_fract_y
_atom_site_fract_z
_atom_site_occupancy
Cr1 Cr 0.051 0.369 0.077 1
Cr2 Cr 0.051 0.369 0.423 1
Cr3 Cr 0.160 0.761 0.750 1
Cr4 Cr 0.239 0.399 0.750 1
Cr5 Cr 0.318 0.949 0.077 1
Cr6 Cr 0.318 0.949 0.423 1
Cr7 Cr 0.369 0.318 0.577 1
Cr8 Cr 0.369 0.318 0.923 1
Cr9 Cr 0.399 0.160 0.250 1
Cr10 Cr 0.601 0.840 0.750 1
Cr11 Cr 0.631 0.682 0.077 1
Cr12 Cr 0.631 0.682 0.423 1
Cr13 Cr 0.682 0.051 0.577 1
Cr14 Cr 0.682 0.051 0.923 1
Cr15 Cr 0.761 0.601 0.250 1
Cr16 Cr 0.840 0.239 0.250 1
Cr17 Cr 0.949 0.631 0.577 1
Cr18 Cr 0.949 0.631 0.923 1
N1 N 0.000 0.000 0.000 1
N2 N 0.000 0.000 0.500 1
N3 N 0.099 0.671 0.250 1
N4 N 0.329 0.427 0.250 1
N5 N 0.333 0.667 0.553 1
N6 N 0.333 0.667 0.947 1
N7 N 0.427 0.099 0.750 1
N8 N 0.573 0.901 0.250 1
N9 N 0.667 0.333 0.053 1
N10 N 0.667 0.333 0.447 1
N11 N 0.671 0.573 0.750 1
N12 N 0.901 0.329 0.750 1
O1 O 0.039 0.390 0.542 1
O2 O 0.039 0.390 0.958 1
O3 O 0.088 0.673 0.642 1
O4 O 0.088 0.673 0.858 1
O5 O 0.091 0.265 0.088 1
O6 O 0.091 0.265 0.412 1
O7 O 0.121 0.265 0.750 1
O8 O 0.145 0.879 0.750 1
O9 O 0.163 0.497 0.121 1
O10 O 0.163 0.497 0.379 1
O11 O 0.174 0.909 0.088 1
O12 O 0.174 0.909 0.412 1
O13 O 0.200 0.501 0.750 1
O14 O 0.265 0.145 0.250 1
O15 O 0.265 0.174 0.588 1
O16 O 0.265 0.174 0.912 1
O17 O 0.301 0.800 0.750 1
O18 O 0.327 0.414 0.642 1
O19 O 0.327 0.414 0.858 1
O20 O 0.334 0.837 0.121 1
O21 O 0.334 0.837 0.379 1
O22 O 0.352 0.961 0.542 1
O23 O 0.352 0.961 0.958 1
O24 O 0.390 0.352 0.042 1
O25 O 0.390 0.352 0.458 1
O26 O 0.414 0.088 0.142 1
O27 O 0.414 0.088 0.358 1
O28 O 0.497 0.334 0.621 1
O29 O 0.497 0.334 0.879 1
O30 O 0.499 0.699 0.750 1
O31 O 0.501 0.301 0.250 1
O32 O 0.503 0.666 0.121 1
O33 O 0.503 0.666 0.379 1
O34 O 0.586 0.912 0.642 1
O35 O 0.586 0.912 0.858 1
O36 O 0.610 0.648 0.542 1
O37 O 0.610 0.648 0.958 1
O38 O 0.648 0.039 0.042 1
O39 O 0.648 0.039 0.458 1
O40 O 0.666 0.163 0.621 1
O41 O 0.666 0.163 0.879 1
O42 O 0.673 0.586 0.142 1
O43 O 0.673 0.586 0.358 1
O44 O 0.699 0.200 0.250 1
O45 O 0.735 0.826 0.088 1
O46 O 0.735 0.826 0.412 1
O47 O 0.735 0.855 0.750 1
O48 O 0.800 0.499 0.250 1
O49 O 0.826 0.091 0.588 1
O50 O 0.826 0.091 0.912 1
O51 O 0.837 0.503 0.621 1
O52 O 0.837 0.503 0.879 1
O53 O 0.855 0.121 0.250 1
O54 O 0.879 0.735 0.250 1
O55 O 0.909 0.735 0.588 1
O56 O 0.909 0.735 0.912 1
O57 O 0.912 0.327 0.142 1
O58 O 0.912 0.327 0.358 1
O59 O 0.961 0.610 0.042 1
O60 O 0.961 0.610 0.458 1
____________
_So much for the calculated crystals_
Through monetary prizes and recognition, this contest is a catalyst for the implementation of the ALL Careers approach to education in our community. You are invited to submit creative lessons, activities, etc., to demonstrate or advance the idea of how environmental knowledge and concern can be explicitly connected to ALL careers, not just those few usually thought of as “environmental careers.” See PDF, below, for contest components, criteria, deadlines, etc. And see more info as well as ideas for projects elsewhere on this contest website.
Due Date:
A short intent form is due Feb. 1, 2023.
Deadline for contest entry is March 23, 2023
Winners announced by April 28, 2023:

Contest entries and questions can be sent to:
“When people begin to consider the career possibilities of human restoration through nature, their eyes light up: here is a positive, hopeful view of the human relationship with the Earth, a way to make a living and a life.” – Richard Louv
What is the “ALL Careers” approach to education? It is an effort to make explicit connections between environmental knowledge/concern and ALL careers -- not just "environmental careers” as presently understood. To create a sustainable “green” economy, everything we do needs to be guided by an understanding of how living systems work and how human systems fit in.
How does an “ALL Careers” approach help you think about your future? If you are concerned about environmental trends and how they will affect our world, know that you can be part of the solution! An “ALL Careers” approach can empower and inspire you with a solid sense of how you can contribute to the creation of a sustainable economy no matter what your skills or aptitudes, and therefore career direction. This approach can then lead to specific knowledge and training on how you can put environmental principles and concerns into practical use in whatever career direction you choose.
More Information on ALL Careers Approach
Examples and Ideas for Contest Entries
Students (individuals, classes or clubs) might: develop case studies of careers/businesses in a wide variety of fields that are “going green” and provide to fellow students, teachers, and career counselors as a learning resource; develop a website with information and resources on ALL Careers approach and disseminate it to a wide audience; present a program to their school on the ALL Careers approach.
Teachers or Guidance Counselors: a business teacher incorporates environmental principles as part of class and has students research business case studies of a variety of businesses “going green”; a guidance counselor researches colleges (and other programs) in the U.S. that are starting to combine environment/sustainability and business classes/programs as a new resource to share with students; an environmental studies teacher works with a business teacher or club to have students consider business and environment together; a teacher assigns writing and/or research on how environmental principles can be applied in a wide variety of businesses/careers and share that research with other students, teachers, career counselors, etc.
Schools: a school might make the ALL Careers approach a theme for the school year, their career fair, etc.; a school might hold an assembly to establish the ALL Careers approach in a school; a school could hold a training session on the ALL Careers approach for teachers, counselors
ALL Careers in Action
Louisville Middle School’s 2020 Virtual Career Fair, Louisville, CO – 2020
This innovative event used the ALL Careers approach as the theme for an online career fair during the first year of COVID. After a short presentation on the ALL Careers approach, a number of business owners from Louisville gave short presentations on how they are applying environmental knowledge to “green” their businesses. Business owners then met in breakout rooms with small groups of students who were able to ask questions and learn more about the businesses represented. The event was a big success – well received by students, businesses, and teachers, alike.
Annual Environmental Leadership Summits at Fossil Ridge High School, Fort Collins, CO – 2017 - 2019
Students at Fossil Ridge High School organized conferences entitled ”Environmental Leadership Summits” for fellow students along the Front Range of Colorado. All three Summits offered a great mix of presentations on the problems/challenges we face along with ideas, examples, and discussions about how to create a new, sustainable economy. Students incorporated the ALL Careers approach into their mission statement in 2018 and 2019.
Testimonial: Martin Ogle was a founding presenter for the Environmental Leadership Summit- designed by high school students to address the needs of high school students interested in STEM, entrepreneurship, leadership, and environmental sustainability. From our first contact with Martin, he engaged deeply with our student and staff sponsors to add depth, mission, and targeted purpose to the Environmental Leadership Summit. He was also a presenter and keynote speaker. His session on “Making Every Career and Environmental Career” was highly rated by our students every year Martin presented. Martin is great to work with and helped us take our event to the next level in nearly every way. We owe him a great deal of thanks. – Nick Peterson, Fossil Ridge High School, Environmental Leadership Summit
“How Can we Link Youth, Environment and the Economy?” A public event at The Alliance Center, Denver, Colorado – October 23, 2018
This event advocated for an “ALL Careers approach” of empowering young people to connect environmental principles with All Careers to create a sustainable world. This event was attended by professionals in sustainability, education, business, non-profits, and others. The event concluded with discussion of ideas that were added to an initial list of specific steps to advance an “ALL Careers approach” in schools and other venues.
Testimonial: “What a thoughtful and idea-provoking conversation about how connections can be made between environmental education (EE) and any career a student might pursue! Coming from a focus on helping youth pursue a natural resource career, I learned a lot from the perspectives of Shelly Mahon from the Parent Engagement Network and Megan Jorgensen, sustainability coordinator from Snooze Eatery, in particular, about how environmental principles and practices are being applied across a wide variety of avocations. I’m excited to continue the connections and ideas generated by this event to highlight case studies and develop new methods in which we can connect EE with all careers.” – Lisa Eadens, Program
Coordinator, Careers in Natural Resources Initiative, Colorado Alliance for Environmental Education
Attached: records of crystals:
'''
# 1
First-principles (PBE with a Hubbard U) data for a relaxed Li3CrPCO7 crystal, as listed in Materials Project.

Computed properties:
Final energy = -6.828 eV/atom
Symmetry = No. 14
Energy with MP2020 corrections = -7.352 eV per atom
Energy above the most stable polymorph in this dataset = 1.2 kJ/mol of atoms
DFT formation energy = -2378 meV per atom

Unit cell a=8.567 b=6.474 c=9.978 alpha=90.00 beta=95.18 gamma=90.00
Fractional coordinates of all 52 atoms:
Li (0.108, 0.249, 0.365)
Li (0.108, 0.251, 0.865)
Li (0.289, 0.019, 0.132)
Li (0.289, 0.481, 0.632)
Li (0.354, 0.747, 0.862)
Li (0.354, 0.753, 0.362)
Li (0.646, 0.247, 0.638)
Li (0.646, 0.253, 0.138)
Li (0.711, 0.519, 0.368)
Li (0.711, 0.981, 0.868)
Li (0.892, 0.749, 0.135)
Li (0.892, 0.751, 0.635)
Cr (0.262, 0.514, 0.125)
Cr (0.262, 0.986, 0.625)
Cr (0.738, 0.014, 0.375)
Cr (0.738, 0.486, 0.875)
P (0.410, 0.249, 0.389)
P (0.410, 0.251, 0.889)
P (0.590, 0.749, 0.111)
P (0.590, 0.751, 0.611)
C (0.039, 0.741, 0.897)
C (0.039, 0.759, 0.397)
C (0.961, 0.241, 0.603)
C (0.961, 0.259, 0.103)
O (0.064, 0.748, 0.274)
O (0.064, 0.752, 0.774)
O (0.106, 0.228, 0.567)
O (0.106, 0.272, 0.067)
O (0.153, 0.745, 0.993)
O (0.153, 0.755, 0.493)
O (0.311, 0.060, 0.338)
O (0.311, 0.440, 0.838)
O (0.314, 0.061, 0.830)
O (0.314, 0.439, 0.330)
O (0.422, 0.750, 0.161)
O (0.422, 0.750, 0.661)
O (0.426, 0.240, 0.044)
O (0.426, 0.260, 0.544)
O (0.574, 0.740, 0.456)
O (0.574, 0.760, 0.956)
O (0.578, 0.250, 0.339)
O (0.578, 0.250, 0.839)
O (0.686, 0.561, 0.670)
O (0.686, 0.939, 0.170)
O (0.689, 0.560, 0.162)
O (0.689, 0.940, 0.662)
O (0.847, 0.245, 0.507)
O (0.847, 0.255, 0.007)
O (0.894, 0.728, 0.933)
O (0.894, 0.772, 0.433)
O (0.936, 0.248, 0.226)
O (0.936, 0.252, 0.726)


# 2
First-principles (PBE with a Hubbard U) data for a relaxed Li3CrPCO7 crystal, as listed in Materials Project.

Computed properties:
Final energy = -6.828 eV/atom
Symmetry = No. 14
Energy with MP2020 corrections = -7.352 eV per atom
Energy above the most stable polymorph in this dataset = 1.1 kJ/mol of atoms
DFT formation energy = -2378 meV per atom

Unit cell a=8.555 b=6.485 c=9.989 alpha=90.00 beta=95.09 gamma=90.00
Fractional coordinates of all 52 atoms:
Li (0.107, 0.246, 0.115)
Li (0.107, 0.254, 0.615)
Li (0.293, 0.019, 0.884)
Li (0.293, 0.481, 0.384)
Li (0.354, 0.742, 0.611)
Li (0.354, 0.758, 0.111)
Li (0.646, 0.242, 0.889)
Li (0.646, 0.258, 0.389)
Li (0.707, 0.519, 0.616)
Li (0.707, 0.981, 0.116)
Li (0.893, 0.746, 0.385)
Li (0.893, 0.754, 0.885)
Cr (0.262, 0.510, 0.876)
Cr (0.262, 0.990, 0.376)
Cr (0.738, 0.010, 0.624)
Cr (0.738, 0.490, 0.124)
P (0.410, 0.247, 0.639)
P (0.410, 0.253, 0.139)
P (0.590, 0.747, 0.861)
P (0.590, 0.753, 0.361)
C (0.038, 0.750, 0.147)
C (0.038, 0.750, 0.647)
C (0.962, 0.250, 0.353)
C (0.962, 0.250, 0.853)
O (0.065, 0.747, 0.024)
O (0.065, 0.753, 0.524)
O (0.108, 0.234, 0.318)
O (0.108, 0.266, 0.818)
O (0.150, 0.732, 0.743)
O (0.150, 0.768, 0.243)
O (0.312, 0.057, 0.583)
O (0.312, 0.443, 0.083)
'''
“Making a Living and a Life” A new view of “environmental careers” – a program at Lyons Middle / High School, Lyons, Colorado. September 13, 2018
This presentation, like many presentations for high school (and other) students posited that environmental knowledge and concern can be the basis for just about any career a young person is drawn to and suited for.
Testimonial: “The All Careers approach is an exciting and thoughtful way of introducing students to the idea that any career can utilize environmentally conscious ideas. From manufacturing, architecture, or city management, any aspect of careers can be focused on changing and helping the environment. Environmental principals and knowledge shouldn’t just be useful for students going into “environmental careers,” they should be important for students in ALL careers!” – Shannon Carheden, Science Teacher, Lyons Middle Senior High School, Lyons, CO